********
1.
A relaxed HfZrAs3 crystal, computed with PBE.

Computed properties:
* magnetic moment: 0.6 μB per cell
* DOS at the Fermi energy: 0.7666 states/eV/atom
* energy: -6.248 eV/atom
* formation enthalpy at 0 K: 0.24 eV per atom
* symmetry: Pm-3m
* crystal system: cubic

Unit cell a=5.048 b=5.048 c=5.048 alpha=90.00 beta=90.00 gamma=90.00
Atoms (fractional coordinates):
Zr1 0.500 0.500 0.500
As1 0.000 0.000 0.500
As2 0.500 0.000 0.000
As3 0.000 0.500 0.000
Hf1 0.000 0.000 0.000



2.
A relaxed HfZr2As2 crystal, computed with PBE.

Computed properties:
* magnetic moment: 0.0 μB per cell
* DOS at the Fermi energy: 0.4030 states/eV/atom
* energy: -7.703 eV/atom
* formation enthalpy at 0 K: -0.43 eV per atom
* symmetry: I4/mmm
* crystal system: tetragonal

Unit cell a=4.138 b=4.138 c=6.660 alpha=71.90 beta=71.90 gamma=90.00
Atoms (fractional coordinates):
As1 0.397 0.397 0.205
As2 0.603 0.603 0.795
Zr1 0.250 0.750 0.500
Zr2 0.750 0.250 0.500
Hf1 0.000 0.000 0.000



3.
A relaxed Hf4Zr3As4 crystal, computed with PBE.

Computed properties:
* magnetic moment: 0.0 μB per cell
* DOS at the Fermi energy: 0.5404 states/eV/atom
* energy: -8.484 eV/atom
* formation enthalpy at 0 K: -0.84 eV per atom
* symmetry: Immm
* crystal system: orthorhombic

Unit cell a=3.541 b=8.116 c=8.820 alpha=117.39 beta=101.58 gamma=90.00
Atoms (fractional coordinates):
Zr1 0.104 0.104 0.207
Zr2 0.896 0.896 0.793
Zr3 0.000 0.500 0.000
As1 0.743 0.243 0.486
As2 0.500 0.798 0.000
As3 0.257 0.757 0.514
As4 0.500 0.202 0.000
Hf1 0.668 0.855 0.335
Hf2 0.668 0.481 0.335
Hf3 0.332 0.145 0.665
Hf4 0.332 0.519 0.665



4.
A relaxed HfZr2As2 crystal, computed with PBE.

Computed properties:
* magnetic moment: 0.0 μB per cell
* DOS at the Fermi energy: 0.5099 states/eV/atom
* energy: -8.151 eV/atom
* formation enthalpy at 0 K: -0.88 eV per atom
* symmetry: Cmc2_1
* crystal system: orthorhombic

Unit cell a=3.719 b=7.022 c=8.083 alpha=90.00 beta=103.30 gamma=90.00
Atoms (fractional coordinates):
Hf1 0.625 0.596 0.250
Hf2 0.375 0.096 0.750
Zr1 0.181 0.948 0.362
Zr2 0.970 0.766 0.939
Zr3 0.030 0.266 0.061
Zr4 0.819 0.448 0.638
As1 0.801 0.846 0.603
As2 0.199 0.346 0.397
As3 0.551 0.978 0.102
As4 0.449 0.478 0.898



5.
A relaxed HfZr2As3 crystal, computed with PBE.

Computed properties:
* magnetic moment: 0.0 μB per cell
* DOS at the Fermi energy: 0.4224 states/eV/atom
* energy: -7.865 eV/atom
* formation enthalpy at 0 K: -1.03 eV per atom
* symmetry: Immm
* crystal system: orthorhombic

Unit cell a=3.874 b=5.439 c=6.688 alpha=113.99 beta=106.84 gamma=90.00
Atoms (fractional coordinates):
As1 0.163 0.663 0.825
As2 0.500 0.000 0.500
As3 0.837 0.337 0.175
Hf1 0.500 0.500 0.500
Zr1 0.829 0.829 0.158
Zr2 0.171 0.171 0.842



6.
A relaxed HfZr5As4 crystal, computed with PBE.

Computed properties:
* magnetic moment: 0.0 μB per cell
* DOS at the Fermi energy: 0.5301 states/eV/atom
* energy: -7.864 eV/atom
* formation enthalpy at 0 K: -0.73 eV per atom
* symmetry: C2/m
* crystal system: monoclinic

Unit cell a=3.751 b=7.611 c=8.330 alpha=107.42 beta=103.01 gamma=90.00
Atoms (fractional coordinates):
Zr1 0.190 0.346 0.380
Zr2 0.157 0.827 0.315
Zr3 0.500 0.500 0.000
Zr4 0.843 0.173 0.685
Zr5 0.810 0.654 0.620
As1 0.983 0.738 0.966
As2 0.017 0.262 0.034
As3 0.329 0.915 0.659
As4 0.671 0.085 0.341
Hf1 0.500 0.000 0.000



7.
A relaxed Hf5ZrAs5 crystal, computed with PBE.

Computed properties:
* magnetic moment: 0.0 μB per cell
* DOS at the Fermi energy: 0.5616 states/eV/atom
* energy: -8.195 eV/atom
* formation enthalpy at 0 K: -0.78 eV per atom
* symmetry: C2/m
* crystal system: monoclinic

Unit cell a=5.344 b=6.529 c=7.512 alpha=107.13 beta=90.00 gamma=114.15
Atoms (fractional coordinates):
Hf1 0.629 0.259 0.757
Hf2 0.371 0.741 0.243
Hf3 0.333 0.666 0.663
Hf4 0.000 0.000 0.500
Hf5 0.667 0.334 0.337
Zr1 0.000 0.000 0.000
As1 0.179 0.358 0.852
As2 0.831 0.662 0.668
As3 0.500 0.000 0.000
As4 0.821 0.642 0.148
As5 0.169 0.338 0.332



8.
A relaxed HgAs4 crystal, computed with PBE.
********
Echo the lines further up from the one with "As2 0.603" to the one with "As3 0.500" unchanged.
As2 0.603 0.603 0.795
Zr1 0.250 0.750 0.500
Zr2 0.750 0.250 0.500
Hf1 0.000 0.000 0.000



3.
A relaxed Hf4Zr3As4 crystal, computed with PBE.

Computed properties:
* magnetic moment: 0.0 μB per cell
* DOS at the Fermi energy: 0.5404 states/eV/atom
* energy: -8.484 eV/atom
* formation enthalpy at 0 K: -0.84 eV per atom
* symmetry: Immm
* crystal system: orthorhombic

Unit cell a=3.541 b=8.116 c=8.820 alpha=117.39 beta=101.58 gamma=90.00
Atoms (fractional coordinates):
Zr1 0.104 0.104 0.207
Zr2 0.896 0.896 0.793
Zr3 0.000 0.500 0.000
As1 0.743 0.243 0.486
As2 0.500 0.798 0.000
As3 0.257 0.757 0.514
As4 0.500 0.202 0.000
Hf1 0.668 0.855 0.335
Hf2 0.668 0.481 0.335
Hf3 0.332 0.145 0.665
Hf4 0.332 0.519 0.665



4.
A relaxed HfZr2As2 crystal, computed with PBE.

Computed properties:
* magnetic moment: 0.0 μB per cell
* DOS at the Fermi energy: 0.5099 states/eV/atom
* energy: -8.151 eV/atom
* formation enthalpy at 0 K: -0.88 eV per atom
* symmetry: Cmc2_1
* crystal system: orthorhombic

Unit cell a=3.719 b=7.022 c=8.083 alpha=90.00 beta=103.30 gamma=90.00
Atoms (fractional coordinates):
Hf1 0.625 0.596 0.250
Hf2 0.375 0.096 0.750
Zr1 0.181 0.948 0.362
Zr2 0.970 0.766 0.939
Zr3 0.030 0.266 0.061
Zr4 0.819 0.448 0.638
As1 0.801 0.846 0.603
As2 0.199 0.346 0.397
As3 0.551 0.978 0.102
As4 0.449 0.478 0.898



5.
A relaxed HfZr2As3 crystal, computed with PBE.

Computed properties:
* magnetic moment: 0.0 μB per cell
* DOS at the Fermi energy: 0.4224 states/eV/atom
* energy: -7.865 eV/atom
* formation enthalpy at 0 K: -1.03 eV per atom
* symmetry: Immm
* crystal system: orthorhombic

Unit cell a=3.874 b=5.439 c=6.688 alpha=113.99 beta=106.84 gamma=90.00
Atoms (fractional coordinates):
As1 0.163 0.663 0.825
As2 0.500 0.000 0.500
As3 0.837 0.337 0.175
Hf1 0.500 0.500 0.500
Zr1 0.829 0.829 0.158
Zr2 0.171 0.171 0.842



6.
A relaxed HfZr5As4 crystal, computed with PBE.

Computed properties:
* magnetic moment: 0.0 μB per cell
* DOS at the Fermi energy: 0.5301 states/eV/atom
* energy: -7.864 eV/atom
* formation enthalpy at 0 K: -0.73 eV per atom
* symmetry: C2/m
* crystal system: monoclinic

Unit cell a=3.751 b=7.611 c=8.330 alpha=107.42 beta=103.01 gamma=90.00
Atoms (fractional coordinates):
Zr1 0.190 0.346 0.380
Zr2 0.157 0.827 0.315
Zr3 0.500 0.500 0.000
Zr4 0.843 0.173 0.685
Zr5 0.810 0.654 0.620
As1 0.983 0.738 0.966
As2 0.017 0.262 0.034
As3 0.329 0.915 0.659
As4 0.671 0.085 0.341
Hf1 0.500 0.000 0.000



7.
A relaxed Hf5ZrAs5 crystal, computed with PBE.

Computed properties:
* magnetic moment: 0.0 μB per cell
* DOS at the Fermi energy: 0.5616 states/eV/atom
* energy: -8.195 eV/atom
* formation enthalpy at 0 K: -0.78 eV per atom
* symmetry: C2/m
* crystal system: monoclinic

Unit cell a=5.344 b=6.529 c=7.512 alpha=107.13 beta=90.00 gamma=114.15
Atoms (fractional coordinates):
Hf1 0.629 0.259 0.757
Hf2 0.371 0.741 0.243
Hf3 0.333 0.666 0.663
Hf4 0.000 0.000 0.500
Hf5 0.667 0.334 0.337
Zr1 0.000 0.000 0.000
As1 0.179 0.358 0.852
As2 0.831 0.662 0.668
As3 0.500 0.000 0.000